Excerpt =
Entry 1:
Molecular formula: C27H50FO14P3
Method: DFT, wB97M-V/def2-TZVPD

Bonds (Å) are listed after each position.
Positions of all 95 atoms, in Å:
1 C 11.1658 -4.0949 2.3662  C2 1.507, H24 1.085, H25 1.088, H26 1.089
2 C 11.4353 -2.9479 1.4274  C1 1.507, O3 1.192, O4 1.361
3 O 11.6198 -1.8445 1.8400  C2 1.192
4 O 11.4671 -3.1877 0.0879  C2 1.361, C5 1.434
5 C 10.2193 -3.6140 -0.4748  O4 1.434, C6 1.540, H27 1.092, H28 1.088
6 C 9.3810 -2.4358 -1.0045  C5 1.540, C7 1.526, H29 1.090, H30 1.090
7 C 8.0254 -2.2381 -0.3317  C6 1.526, C8 1.532, H31 1.092, H32 1.093
8 C 8.0935 -2.0861 1.1911  C7 1.532, C9 1.500, H33 1.091, H34 1.088
9 C 6.7524 -2.2546 1.8414  C8 1.500, C10 1.335, C22 1.497
10 C 6.4775 -3.2953 2.6310  C9 1.335, C11 1.478, H35 1.081
11 C 5.1180 -3.3488 3.2073  C10 1.478, O12 1.206, C13 1.507
12 O 4.8730 -3.7131 4.3302  C11 1.206
13 C 4.0199 -2.8566 2.3008  C11 1.507, C14 1.506, C18 1.346
14 C 2.7200 -3.6143 2.3658  C13 1.506, C15 1.551, H36 1.092, H37 1.083
15 C 2.9577 -5.1421 2.4857  C14 1.551, C16 1.526, H38 1.085, H39 1.092
16 C 3.9823 -5.6714 1.4859  C15 1.526, F17 1.401, H40 1.089, H41 1.092
17 F 5.1252 -6.1208 2.1597  C16 1.401
18 C 4.2817 -1.7880 1.5261  C13 1.346, P19 1.844, C22 1.506
19 P 3.0839 -1.0333 0.3450  C18 1.844, O20 1.638, O21 1.631
20 O 1.6242 -1.1131 1.0834  P19 1.638, H42 0.969
21 O 3.4611 0.5527 0.3782  P19 1.631, H43 0.969
22 C 5.6793 -1.2343 1.6196  C9 1.497, C18 1.506, O23 1.206
23 O 5.9495 -0.0642 1.5080  C22 1.206
24 H 11.9963 -4.2152 3.0541  C1 1.085
25 H 10.2656 -3.9088 2.9489  C1 1.088
26 H 10.9850 -5.0029 1.7933  C1 1.089
27 H 9.6352 -4.2338 0.2093  C5 1.092
28 H 10.4854 -4.2546 -1.3128  C5 1.088
29 H 10.0005 -1.5416 -0.9402  C6 1.090
30 H 9.2151 -2.6242 -2.0653  C6 1.090
31 H 7.3361 -3.0398 -0.6054  C7 1.092
32 H 7.6066 -1.3082 -0.7243  C7 1.093
33 H 8.4924 -1.1146 1.4857  C8 1.091
34 H 8.7344 -2.8710 1.5879  C8 1.088
35 H 7.2014 -4.0743 2.8240  C10 1.081
36 H 2.2294 -3.3190 3.2961  C14 1.092
37 H 2.0837 -3.4562 1.5038  C14 1.083
38 H 3.1818 -5.4489 3.5018  C15 1.085
39 H 2.0060 -5.6058 2.2196  C15 1.092
40 H 3.5967 -6.5270 0.9326  C16 1.089
41 H 4.2864 -4.9173 0.7565  C16 1.092
42 H 1.6828 -0.8800 2.0221  O20 0.969
43 H 3.3852 0.8713 1.2898  O21 0.969
44 O -5.0333 3.0328 0.9320  P45 1.483
45 P -4.0146 2.0014 1.2457  O44 1.483, O46 1.632, O49 1.634, O52 1.611
46 O -4.3110 1.7244 2.8260  P45 1.632, C47 1.428
47 C -5.5333 1.0921 3.2061  O46 1.428, C48 1.518, H55 1.095, H56 1.090
48 C -5.4694 -0.4167 3.0480  C47 1.518, H57 1.092, H58 1.091, H59 1.090
49 O -2.6601 2.9073 1.3733  P45 1.634, C50 1.431
50 C -2.4952 4.0988 0.5975  O49 1.431, C51 1.513, H60 1.090, H61 1.093
51 C -2.6879 5.3223 1.4662  C50 1.513, H62 1.090, H63 1.091, H64 1.091
52 O -3.1796 0.6305 1.1112  P45 1.611, C53 1.455
53 C -2.4412 0.3830 -0.1177  O52 1.455, C54 1.511, H65 1.093, H66 1.090
54 C -0.9587 0.4690 0.1617  C53 1.511, H67 1.089, H68 1.089, H69 1.087
55 H -6.3653 1.5087 2.6288  C47 1.095
56 H -5.6985 1.3494 4.2520  C47 1.090
57 H -5.3950 -0.7008 1.9966  C48 1.092
58 H -6.3654 -0.8827 3.4605  C48 1.091
59 H -4.5937 -0.8170 3.5579  C48 1.090
60 H -3.1767 4.1131 -0.2532  C50 1.090
61 H -1.4777 4.0814 0.1991  C50 1.093
62 H -3.6772 5.3205 1.9233  C51 1.090
63 H -2.5721 6.2359 0.8812  C51 1.091
64 H -1.9566 5.3298 2.2754  C51 1.091
65 H -2.7369 1.0834 -0.9026  C53 1.093
66 H -2.7030 -0.6203 -0.4524  C53 1.090
67 H -0.6523 1.5010 0.3285  C54 1.089
68 H -0.3845 0.0769 -0.6771  C54 1.089
69 H -0.7041 -0.0902 1.0588  C54 1.087
70 O -5.5348 2.6941 -3.4256  P71 1.475
71 P -6.9613 3.0404 -3.2793  O70 1.475, O72 1.601, O75 1.634, O78 1.600
72 O -7.6432 2.0656 -2.2086  P71 1.601, C73 1.439
73 C -7.1865 2.1183 -0.8453  O72 1.439, C74 1.516, H81 1.087, H82 1.091
74 C -7.8292 3.2639 -0.0890  C73 1.516, H83 1.091, H84 1.088, H85 1.091
75 O -7.6356 2.4763 -4.6566  P71 1.634, C76 1.428
76 C -6.8491 2.2627 -5.8297  O75 1.428, C77 1.513, H86 1.090, H87 1.093
77 C -6.6055 0.7844 -6.0405  C76 1.513, H88 1.090, H89 1.091, H90 1.091
Brief =
Echo the listing further above from the line with "1.4857" to the end without additions.
Worked solution =
33 H 8.4924 -1.1146 1.4857  C8 1.091
34 H 8.7344 -2.8710 1.5879  C8 1.088
35 H 7.2014 -4.0743 2.8240  C10 1.081
36 H 2.2294 -3.3190 3.2961  C14 1.092
37 H 2.0837 -3.4562 1.5038  C14 1.083
38 H 3.1818 -5.4489 3.5018  C15 1.085
39 H 2.0060 -5.6058 2.2196  C15 1.092
40 H 3.5967 -6.5270 0.9326  C16 1.089
41 H 4.2864 -4.9173 0.7565  C16 1.092
42 H 1.6828 -0.8800 2.0221  O20 0.969
43 H 3.3852 0.8713 1.2898  O21 0.969
44 O -5.0333 3.0328 0.9320  P45 1.483
45 P -4.0146 2.0014 1.2457  O44 1.483, O46 1.632, O49 1.634, O52 1.611
46 O -4.3110 1.7244 2.8260  P45 1.632, C47 1.428
47 C -5.5333 1.0921 3.2061  O46 1.428, C48 1.518, H55 1.095, H56 1.090
48 C -5.4694 -0.4167 3.0480  C47 1.518, H57 1.092, H58 1.091, H59 1.090
49 O -2.6601 2.9073 1.3733  P45 1.634, C50 1.431
50 C -2.4952 4.0988 0.5975  O49 1.431, C51 1.513, H60 1.090, H61 1.093
51 C -2.6879 5.3223 1.4662  C50 1.513, H62 1.090, H63 1.091, H64 1.091
52 O -3.1796 0.6305 1.1112  P45 1.611, C53 1.455
53 C -2.4412 0.3830 -0.1177  O52 1.455, C54 1.511, H65 1.093, H66 1.090
54 C -0.9587 0.4690 0.1617  C53 1.511, H67 1.089, H68 1.089, H69 1.087
55 H -6.3653 1.5087 2.6288  C47 1.095
56 H -5.6985 1.3494 4.2520  C47 1.090
57 H -5.3950 -0.7008 1.9966  C48 1.092
58 H -6.3654 -0.8827 3.4605  C48 1.091
59 H -4.5937 -0.8170 3.5579  C48 1.090
60 H -3.1767 4.1131 -0.2532  C50 1.090
61 H -1.4777 4.0814 0.1991  C50 1.093
62 H -3.6772 5.3205 1.9233  C51 1.090
63 H -2.5721 6.2359 0.8812  C51 1.091
64 H -1.9566 5.3298 2.2754  C51 1.091
65 H -2.7369 1.0834 -0.9026  C53 1.093
66 H -2.7030 -0.6203 -0.4524  C53 1.090
67 H -0.6523 1.5010 0.3285  C54 1.089
68 H -0.3845 0.0769 -0.6771  C54 1.089
69 H -0.7041 -0.0902 1.0588  C54 1.087
70 O -5.5348 2.6941 -3.4256  P71 1.475
71 P -6.9613 3.0404 -3.2793  O70 1.475, O72 1.601, O75 1.634, O78 1.600
72 O -7.6432 2.0656 -2.2086  P71 1.601, C73 1.439
73 C -7.1865 2.1183 -0.8453  O72 1.439, C74 1.516, H81 1.087, H82 1.091
74 C -7.8292 3.2639 -0.0890  C73 1.516, H83 1.091, H84 1.088, H85 1.091
75 O -7.6356 2.4763 -4.6566  P71 1.634, C76 1.428
76 C -6.8491 2.2627 -5.8297  O75 1.428, C77 1.513, H86 1.090, H87 1.093
77 C -6.6055 0.7844 -6.0405  C76 1.513, H88 1.090, H89 1.091, H90 1.091